/ St Andrew & St Francis CE Primary School
Belton Road
Tel 020 8459 1636


Job description for a class teacher

General responsibilities for a class teacher

The class teacher is an employee of the Governing Body and is required to carry out her/his duties in accordance with the terms and conditions of the current School Teachers’ Pay and Conditions document.

## Someone pasted records of molecules at this point
____________
Formula: C58H147N5O18
Source: OMol25
Level of theory: ωB97M-V with the def2-TZVPD basis set

E: -3925.67200 Eh
HOMO energy: -8.4744 eV
Energy above the lowest of the compared OMol25 structures with the same formula, charge and spin: 0.000 eV
Kohn-Sham gap: 8.950 eV

Positions of all 228 atoms, in Å:
C 2.092 -2.149 -5.093
C 3.601 -1.916 -4.847
C 3.956 -0.915 -5.932
C 5.293 -0.263 -5.863
C 5.564 0.214 -4.438
C 5.348 -0.841 -3.383
N 3.936 -1.366 -3.550
O 3.741 -2.356 -2.551
C 6.387 -1.885 -3.442
C 5.414 -0.219 -1.989
C 4.394 -3.214 -5.255
H 1.613 -2.967 -4.564
H 1.944 -2.192 -6.174
H 1.543 -1.282 -4.782
H 3.732 -1.390 -6.858
H 3.312 -0.064 -5.764
H 5.366 0.588 -6.537
H 6.110 -0.855 -6.270
H 4.899 1.001 -4.293
H 6.609 0.531 -4.399
H 6.887 -2.019 -4.403
H 7.185 -1.594 -2.757
H 6.001 -2.841 -3.037
H 4.670 0.569 -1.671
H 5.430 -1.033 -1.287
H 6.417 0.221 -1.849
H 3.898 -3.781 -6.031
H 4.634 -3.801 -4.399
H 5.274 -2.893 -5.805
H 3.242 -2.005 -1.791
C -0.869 9.037 -0.371
C 0.351 9.050 -1.306
C 1.598 9.052 -0.356
C 2.923 8.748 -1.092
C 2.896 7.381 -1.813
C 1.618 7.229 -2.719
N 0.454 7.737 -2.025
O -0.679 7.505 -2.900
C 1.881 7.862 -4.159
C 1.486 5.690 -2.961
C 0.230 10.188 -2.298
H -1.830 9.017 -0.813
H -0.859 9.905 0.306
H -0.730 8.170 0.269
H 1.573 10.010 0.120
H 1.335 8.257 0.408
H 3.804 8.723 -0.347
H 3.201 9.466 -1.869
H 2.849 6.572 -1.067
H 3.785 7.238 -2.435
H 0.992 7.772 -4.753
H 2.007 8.960 -4.067
H 2.702 7.312 -4.654
H 1.366 5.271 -2.000
H 0.644 5.467 -3.536
H 2.345 5.275 -3.414
H -0.497 9.944 -3.071
H 1.258 10.384 -2.612
H -0.049 11.042 -1.701
H -1.130 6.733 -2.548
C -0.874 -3.270 3.304
C -1.308 -2.206 4.361
C -2.291 -2.854 5.323
C -1.635 -3.927 6.232
C -0.411 -3.408 6.959
C 0.550 -2.608 6.037
N -0.225 -1.674 5.204
O 0.724 -1.161 4.215
C 1.475 -1.806 6.885
C 1.411 -3.650 5.260
C -1.935 -0.994 3.638
H -0.994 -4.262 3.556
H 0.139 -3.162 2.988
H -1.345 -2.968 2.365
H -2.615 -2.029 5.940
H -3.182 -3.240 4.871
H -1.417 -4.863 5.721
H -2.403 -4.174 6.930
H 0.142 -4.242 7.369
H -0.698 -2.811 7.825
H 2.322 -1.344 6.314
H 0.892 -1.040 7.268
H 1.783 -2.491 7.734
H 0.927 -4.570 5.056
H 1.689 -3.201 4.339
H 2.367 -3.886 5.811
H -2.813 -1.338 3.061
H -1.165 -0.536 3.006
H -2.337 -0.284 4.404
H 0.888 -0.238 4.428
C 2.787 -7.185 1.997
C 2.005 -6.282 0.967
C 2.840 -5.183 0.378
C 3.775 -5.521 -0.735
C 2.972 -6.284 -1.824
C 2.421 -7.564 -1.321
N 1.503 -7.063 -0.187
O 0.737 -8.205 0.305
C 1.454 -8.135 -2.360
C 3.427 -8.701 -0.926
C 0.774 -5.664 1.724
H 2.805 -8.264 1.749
H 2.377 -7.221 2.997
H 3.875 -6.993 1.963
H 2.109 -4.518 -0.088
H 3.309 -4.596 1.183
H 4.653 -6.103 -0.383
H 4.138 -4.660 -1.218
H 3.642 -6.399 -2.690
H 2.159 -5.647 -2.166
H 2.006 -8.566 -3.224
H 0.917 -8.954 -1.916
H 0.725 -7.397 -2.717
H 4.163 -8.490 -0.146
H 2.878 -9.526 -0.483
H 3.885 -9.077 -1.842
H 1.111 -5.035 2.567
H 0.110 -6.427 2.093
H 0.219 -5.086 1.045
H 1.354 -8.987 0.368
C -7.743 3.568 4.238
C -6.826 2.483 3.631
C -7.795 1.374 3.156
C -7.144 0.390 2.130
C -6.410 1.208 1.074
____________

The teacher will work within the framework of national legislation and school, Local Authority and LDBS policies and guidelines. These include complying with Health and Safety, Equalities, Safeguarding policies and Teachers’ Standards.

  1. Liaison and cooperation

The teacher will work in positive and courteous liaison, contact and cooperation with

  • Other members of the staff team
  • Members of the local Authority or LDBS support teams
  • Organisations and networks relevant to primary school teaching and learning
  1. Planning
  • Plan and prepare medium and short term plans and individual lessons appropriate to the needs, interests, experience and existing knowledge of the class.
  1. Teaching and learning
  • Teach the class following these plans and school policies and guidelines, including setting work to be completed as homework.
  • Teach engaging and appropriate lessons which enable all children to make progress (including the organisation of trips, visitors, class assemblies and workshops).
  1. Marking, assessment and recording
  • Mark and assess pupils’ work according to the school’s policy, record children’s development, progress and attainment.
  • Prepare children for, administer and organise relevant Key Stage assessments.
  1. Reporting on progress
  • Report on children’s progress to parents, other members of staff and, where relevant, outside agencies, including writing annual written reports and discussing children’s progress at parents’ evenings.
  1. Behaviour and relationships
  • Maintain good order and discipline in the class and show respect for and promote the rights and responsibilities for all in the school community.
  • Promote understanding of and follow the school’s behaviour policy, guidelines and values.
  • Be proactive in promoting the positive behaviour of all the children in the school, including during playground duties.
  • Develop positive relationships with pupils, parents and other members of staff.
  • Take the lead in the pastoral care of the class, liaising with parents, the Headteacher and other members of staff where appropriate.
  • Safeguard health and safety and to follow school policy and procedures.
  1. Learning environment
  • Maintain an attractive, stimulating and safe learning environment in the classroom and contribute to displays in the school as a whole.
  1. Continuing professional development
  • Keep up to date with current developments in policy and practice
  • Be proactive in participation in school based INSET and meetings, and externally provided CPD opportunities.
  • Participate in performance management and monitoring activities, following statutory and school policies.
  1. Whole school policies and events
  • Contribute to the development and review of whole school policies and schemes of work.
  • Participate in the organisation of and running of whole school events
  • Take part in the corporate life of the school by attending assemblies, registering the attendance of pupils and supervising before and after school.
  1. Review and reflection
  • Be able to review and reflect on your own practice, identifying areas of strength and areas for development.
  • Be able to review materials / resources, and schemes of work, and make changes as appropriate.
  1. School ethos and RE teaching
  • Support the school’s ethos and aims as a Church of England school.
  • Attend assemblies, collective worship and school church services.
  • Teach RE to your class, following the school’s scheme of work, which includes teaching and learning about Christianity and other world faiths.
  1. Equality policies
  • Carry out all tasks with due regard to school and Local Authority equalities policies and regulations, ensuring for example, that teaching matter and resources reflect this guidance.

This job description will be reviewed regularly to take into account changes in legislation, school policies and the abilities and wishes of the post holder